## Wanted
Could you start at the top of the block underneath and type out each line, ending with the one that has "Ca1 0.064"?

## Data
<<<
HoPaCoPd: simulated XRD peak list (Cu Kα, 1.54184 Å), based on a structure optimized by DFT (PBE).

Structural model:
Cell lengths 6.8478, 6.8478, 6.8478 Å; angles 90.00, 90.00, 90.00 degrees
Space group F-43m (No. 216)
Inequivalent atoms, fractional coordinates:
Ho 0.0000 0.0000 0.0000 (multiplicity 4)
Pa 0.0000 0.0000 0.5000 (multiplicity 4)
Co 0.2500 0.2500 0.2500 (multiplicity 4)
Pd 0.2500 0.2500 0.7500 (multiplicity 4)

The 6 most intense peaks (2θ = 10–90°), by angle:
(hkl)  2θ (°)  I_rel
2 0 0  26.0  19
2 2 0  37.1  100
4 0 0  53.5  17
4 2 0  60.5  8
4 2 2  66.9  36
4 4 0  79.1  11

=====

Starting from a cell relaxed with PBE, the XRD peak list of LiCaAg was calculated for Cu Kα (λ = 1.5418 Å).
Neutral-atom scattering factors, no anomalous dispersion.

Cell: 11.072 4.405 7.494 Å, 90.00 126.00 90.00°
Space group C2/m (No. 12)
Asymmetric unit:
Li1 0.186 0.000 0.082 x4
Ca1 0.064 0.500 0.315 x4
Ag1 0.152 0.000 0.687 x4

Most intense lines, 10 to 90 degrees two-theta, by angle:
- 2θ 14.6, rel. 43
>>>

## Outcome
HoPaCoPd: simulated XRD peak list (Cu Kα, 1.54184 Å), based on a structure optimized by DFT (PBE).

Structural model:
Cell lengths 6.8478, 6.8478, 6.8478 Å; angles 90.00, 90.00, 90.00 degrees
Space group F-43m (No. 216)
Inequivalent atoms, fractional coordinates:
Ho 0.0000 0.0000 0.0000 (multiplicity 4)
Pa 0.0000 0.0000 0.5000 (multiplicity 4)
Co 0.2500 0.2500 0.2500 (multiplicity 4)
Pd 0.2500 0.2500 0.7500 (multiplicity 4)

The 6 most intense peaks (2θ = 10–90°), by angle:
(hkl)  2θ (°)  I_rel
2 0 0  26.0  19
2 2 0  37.1  100
4 0 0  53.5  17
4 2 0  60.5  8
4 2 2  66.9  36
4 4 0  79.1  11

=====

Starting from a cell relaxed with PBE, the XRD peak list of LiCaAg was calculated for Cu Kα (λ = 1.5418 Å).
Neutral-atom scattering factors, no anomalous dispersion.

Cell: 11.072 4.405 7.494 Å, 90.00 126.00 90.00°
Space group C2/m (No. 12)
Asymmetric unit:
Li1 0.186 0.000 0.082 x4
Ca1 0.064 0.500 0.315 x4